### Source
┌──
For Zn2Ge3O8, a cell relaxed with GGA-PBE gives the simulated powder XRD pattern in this record (λ = 1.5418 Å (Cu Kα)).

Top 10 peaks for 15 to 90 degrees two-theta, in order of rising 2θ:
| d (Å) | I (rel.) | (hkl) |
| --- | --- | --- |
| 5.824 | 14 | 1 1 0 |
| 3.683 | 23 | 2 1 0 |
| 3.362 | 13 | 2 1 1 |
| 2.912 | 37 | 2 2 0 |
| 2.483 | 100 | 3 1 1 |
| 2.059 | 12 | 4 0 0 |
| 1.681 | 13 | 4 2 2 |
| 1.585 | 37 | 5 1 1 |
| 1.456 | 42 | 4 4 0 |
| 1.256 | 11 | 5 3 3 |

Crystal structure
```
data_Zn2Ge3O8
_cell_length_a 8.2357
_cell_length_b 8.2357
_cell_length_c 8.2357
_cell_angle_alpha 90.00
_cell_angle_beta 90.00
_cell_angle_gamma 90.00
_symmetry_space_group_name_H-M 'P 1'
_symmetry_Int_Tables_number 1
_symmetry_space_group_name_Hall 'P 1'
loop_
_atom_site_label
_atom_site_type_symbol
_atom_site_fract_x
_atom_site_fract_y
_atom_site_fract_z
_atom_site_occupancy
Zn1 Zn 0.0012 0.0012 0.0012 1
Zn2 Zn 0.2488 0.2488 0.2488 1
Zn3 Zn 0.2512 0.7512 0.7488 1
Zn4 Zn 0.4988 0.9988 0.5012 1
Zn5 Zn 0.5012 0.4988 0.9988 1
Zn6 Zn 0.7488 0.2512 0.7512 1
Zn7 Zn 0.7512 0.7488 0.2512 1
Zn8 Zn 0.9988 0.5012 0.4988 1
Ge1 Ge 0.1191 0.6250 0.1309 1
Ge2 Ge 0.1250 0.3691 0.8809 1
Ge3 Ge 0.1309 0.1191 0.6250 1
Ge4 Ge 0.3691 0.8809 0.1250 1
Ge5 Ge 0.3750 0.6309 0.3809 1
Ge6 Ge 0.3809 0.3750 0.6309 1
Ge7 Ge 0.6191 0.8750 0.8691 1
Ge8 Ge 0.6250 0.1309 0.1191 1
Ge9 Ge 0.6309 0.3809 0.3750 1
Ge10 Ge 0.8691 0.6191 0.8750 1
Ge11 Ge 0.8750 0.8691 0.6191 1
Ge12 Ge 0.8809 0.1250 0.3691 1
O1 O 0.1019 0.1362 0.3948 1
O2 O 0.1052 0.8981 0.6362 1
O3 O 0.1114 0.6114 0.8886 1
O4 O 0.1138 0.1481 0.8552 1
O5 O 0.1362 0.3948 0.1019 1
O6 O 0.1386 0.3614 0.6386 1
O7 O 0.1448 0.6138 0.3519 1
O8 O 0.1481 0.8552 0.1138 1
O9 O 0.3519 0.1448 0.6138 1
O10 O 0.3552 0.3862 0.8519 1
O11 O 0.3614 0.6386 0.1386 1
O12 O 0.3638 0.6052 0.6019 1
O13 O 0.3862 0.8519 0.3552 1
O14 O 0.3886 0.3886 0.3886 1
O15 O 0.3948 0.1019 0.1362 1
O16 O 0.3981 0.8638 0.8948 1
O17 O 0.6019 0.3638 0.6052 1
O18 O 0.6052 0.6019 0.3638 1
O19 O 0.6114 0.8886 0.1114 1
O20 O 0.6138 0.3519 0.1448 1
O21 O 0.6362 0.1052 0.8981 1
O22 O 0.6386 0.1386 0.3614 1
O23 O 0.6448 0.8862 0.6481 1
O24 O 0.6481 0.6448 0.8862 1
O25 O 0.8519 0.3552 0.3862 1
O26 O 0.8552 0.1138 0.1481 1
O27 O 0.8614 0.8614 0.8614 1
O28 O 0.8638 0.8948 0.3981 1
O29 O 0.8862 0.6481 0.6448 1
O30 O 0.8886 0.1114 0.6114 1
O31 O 0.8948 0.3981 0.8638 1
O32 O 0.8981 0.6362 0.1052 1
```
└──
### Exercise
Count the lines further up that contain the word "O9" and give the number alone.
### Completed
1